Next, work out how many lines underneath have the word "O-" in them; a number is enough.

+++
1.
{"formula": "C3H4N2O2", "method": "ωB97M-V/def2-TZVPD", "symbols": ["C", "C", "C", "N", "N", "O", "O", "H", "H", "H", "H"], "positions_angstrom": [[1.499, -0.230, 0.229], [0.583, -1.206, 0.203], [0.684, 0.828, -0.392], [-0.470, -0.090, -0.528], [-1.754, 0.017, -0.015], [-2.403, -0.973, -0.156], [-2.120, 1.074, 0.414], [2.503, -0.175, 0.535], [0.151, -2.155, 0.638], [0.421, 1.462, 0.388], [0.905, 1.448, -1.316]], "forces_ev_per_a": [[-0.36, -1.39, -0.95], [-3.30, 2.12, -0.49], [-1.26, 0.94, -0.74], [2.72, -3.91, 0.05], [1.55, 0.55, -0.61], [-0.98, -1.28, 0.33], [-0.29, 1.20, 0.47], [1.02, -0.21, 0.36], [1.09, 1.20, -0.77], [-0.30, 1.92, 1.34], [0.11, -1.13, 1.01]], "lowdin_charge": [-0.075, 0.101, -0.162, 0.006, -0.474, 0.077, 0.083, 0.087, 0.123, 0.089, 0.146], "orbital_gap_ev": 10.71, "smiles": "O=[N+]([O-])N1C=CC1", "largest_force_ha_per_bohr": 0.093}

2.
{"formula": "C3H4N2O2", "method": "ωB97M-V/def2-TZVPD", "symbols": ["C", "N", "N", "C", "O", "C", "O", "H", "H", "H", "H"], "positions_angstrom": [[0.712, 0.365, -1.851], [-0.855, 0.644, 0.358], [-1.403, 0.471, 1.627], [-0.762, -0.496, 2.168], [0.208, -1.015, 1.362], [0.079, -0.245, 0.270], [0.921, -0.487, -0.712], [-0.095, -0.043, -2.466], [0.436, 1.363, -1.509], [1.657, 0.374, -2.393], [-0.897, -0.931, 3.146]], "forces_ev_per_a": [[0.01, 0.10, -0.16], [0.24, -0.17, -0.16], [0.08, -0.30, 0.29], [-0.23, 0.17, 0.07], [0.03, 0.01, -0.04], [-0.13, 0.14, 0.01], [-0.11, 0.00, 0.15], [0.15, 0.07, 0.07], [0.10, -0.06, -0.15], [-0.18, -0.03, 0.04], [0.03, 0.05, -0.13]], "lowdin_charge": [-0.035, 0.098, 0.054, -0.180, 0.132, -0.484, 0.003, 0.100, 0.087, 0.095, 0.130], "orbital_gap_ev": 10.64, "smiles": "COc1nnco1", "largest_force_ha_per_bohr": 0.008}

3.
{"formula": "C3H4N2O2", "method": "ωB97M-V/def2-TZVPD", "symbols": ["O", "C", "N", "C", "O", "C", "N", "H", "H", "H", "H"], "positions_angstrom": [[0.952, -0.849, -2.090], [0.479, -0.320, -0.959], [0.016, -1.017, 0.033], [-0.338, -0.062, 0.975], [-0.945, -0.411, 2.119], [-0.003, 1.178, 0.578], [0.486, 1.062, -0.776], [0.843, -1.811, -2.000], [-1.031, -1.372, 2.112], [-0.018, 2.152, 1.035], [-0.441, 1.448, -1.029]], "forces_ev_per_a": [[-0.18, 0.01, 0.11], [-0.46, -0.09, 0.20], [0.11, 0.15, -0.13], [0.25, 0.32, 0.20], [0.02, -0.33, 0.18], [0.35, -0.26, 0.97], [-0.54, -0.01, 0.25], [0.04, 0.23, -0.09], [0.00, -0.01, 0.08], [-0.25, -0.11, 0.12], [0.64, 0.09, -1.88]], "lowdin_charge": [0.110, -0.465, 0.183, -0.420, 0.077, -0.072, 0.084, 0.126, 0.110, 0.113, 0.153], "orbital_gap_ev": 9.09, "smiles": "Oc1c[nH]c(O)n1", "largest_force_ha_per_bohr": 0.039}

4.
{"formula": "C3H4N2O2", "method": "ωB97M-V/def2-TZVPD", "symbols": ["C", "N", "N", "C", "O", "C", "O", "H", "H", "H", "H"], "positions_angstrom": [[1.002, 1.145, 0.577], [0.200, 0.094, -0.002], [-0.233, 0.173, -1.303], [-1.062, -0.796, -1.400], [-1.228, -1.516, -0.267], [-0.390, -0.935, 0.677], [-0.255, -1.311, 1.810], [2.026, 1.124, 0.190], [0.546, 2.113, 0.342], [1.013, 0.985, 1.657], [-1.618, -1.076, -2.282]], "forces_ev_per_a": [[0.08, 0.08, 0.05], [-0.03, -0.07, 0.24], [-0.33, -0.28, -0.04], [0.12, 0.18, -0.15], [0.08, -0.06, 0.00], [0.20, 0.14, 0.19], [-0.12, 0.16, -0.41], [-0.18, -0.04, 0.06], [0.11, -0.17, 0.10], [0.02, 0.04, -0.17], [0.06, 0.02, 0.13]], "lowdin_charge": [-0.007, -0.113, 0.130, -0.166, 0.118, -0.491, 0.116, 0.091, 0.092, 0.095, 0.135], "orbital_gap_ev": 10.35, "smiles": "Cn1ncoc1=O", "largest_force_ha_per_bohr": 0.009}

5.
+++

1